Friday, August 28, 2009 10 Things to Avoid Buying for College Students

When I was a college freshmen, I wanted to buy every item listed on the school shopping list. But there is no need for parents or students to snap up every item on the shopping list, according to’s list of "10 Things College Students Don’t Need." Here's a sample from that list:

"1. New Textbooks. To avoid paying unfathomable new-book prices, see whether your university offers a rental program — or rent from a Web site such as, where you can save up to 85%. Order the book for a one-time fee—for example, about $60 plus shipping for a $180 calculus book—keep it for a semester, then return it with free shipping, or you could buy it. Or, head to the used-book lot. For example, searches the Web for the best prices on used textbooks.

2. Big Meal Plan. Brain food is important, but avoid loading up your child's meal account with enough money to feed the football team. It’s best to start with a low number of meals and see how much your student uses. Many colleges will give you the opportunity to replenish the meal plan midyear. You could also supplement your kid's meal plan with gift cards to the local grocery (or the local pizza joint). Or you can buy gift cards at

3. A High-End Laptop or Desktop Computer. An inexpensive laptop should meet your student's computer needs. For example, you can buy an Acer Aspire One, which has a 10.1-inch screen and weighs just 2.4 pounds, for less than $300 at Best Buy, WalMart or Target. Be aware, though, that netbooks don't have DVD drives or huge amounts of storage space, so it'll cost extra to get plug-in external drives or memory cards.

4. Printer. Here's what you can save by skipping this unnecessary item: about $50 for a printer, $30 for replacement ink and $9 for a pack of paper. For about $10, your child could buy a flash drive instead, save his 20-page term paper on it and print the paper in the campus computer lab, which you may already be paying for. Some schools include a technology fee in room and board costs—$100 per semester in some cases.

5. Cable TV. These days, you don't have to foot a hefty cable bill when your child can catch the latest movies and TV shows online., and let you download current TV shows for free. The movies offered on these sites are slightly old, but you can get a Netflix DVD-rental subscription for as little as $5 a month. "

**Records of molecules from another source follow:**
'''
90
Properties=species:S:1:pos:R:3:forces:R:3:mulliken_charge:R:1 method="wB97M-V/def2-TZVPD" homo_lumo_gap_ev=11.21 e_above_lowest_kcal_mol=61.1 e_homo_ev=-10.93 energy_ha=-4457.91952 smiles="CCOS(C)(=O)=O.CCOS(C)(=O)=O.CCOS(C)(=O)=O.CCOS(C)(=O)=O.CCOS(C)(=O)=O.CCOS(C)(=O)=O" fmax_ha_per_bohr=0.0763
C -9.7492 13.8651 -17.4518 -0.06 0.68 -0.07 -0.678
C -8.8102 12.9437 -18.2285 -0.74 1.78 -0.65 0.096
C -7.2367 13.0146 -25.4562 -1.25 1.09 -1.16 -0.688
C -6.1113 19.5969 -22.4628 2.23 1.20 -0.40 -0.396
H -4.0279 19.5766 -21.6794 -0.02 -0.34 -0.25 0.384
C -6.4350 11.0322 -18.9488 -0.44 0.56 0.13 -0.685
H -11.3700 14.6409 -25.7627 -0.09 0.23 -0.05 0.388
C -11.4409 14.4671 -20.7239 0.76 -0.15 0.75 2.008
H -8.5036 17.9066 -18.0049 0.15 0.24 -0.25 0.606
H -12.1379 18.7033 -19.6848 0.28 -0.29 0.34 0.026
O -12.1264 16.4956 -23.9528 0.84 -0.23 1.98 -0.624
H -10.2380 14.5181 -18.1752 0.00 0.08 0.03 -0.416
H -11.7524 18.9108 -17.1537 0.26 -0.41 -0.08 0.372
S -7.9559 14.5485 -26.3003 -0.20 0.02 -0.14 1.083
H -8.9314 15.6925 -23.1342 0.52 -0.55 -0.23 -0.152
S -13.5015 15.8831 -17.1425 -1.51 1.72 1.87 1.114
S -8.7153 20.0138 -22.2029 0.39 0.03 0.49 1.189
H -10.3712 14.2844 -20.6259 0.00 0.13 -0.18 -0.827
H -8.5876 16.7821 -21.8637 0.21 0.10 0.07 -0.416
C -8.8298 17.2333 -18.7977 -0.04 0.11 -0.17 -0.274
H -8.4457 18.5110 -24.0621 -0.63 -0.44 0.21 0.172
S -7.0733 11.3772 -17.2410 0.71 0.23 -2.26 1.156
H -7.2661 16.5107 -23.0111 -0.18 -0.28 -0.30 0.522
H -7.1473 17.1347 -20.1058 0.08 -0.19 -0.27 0.157
O -7.0380 10.1059 -16.5923 -0.46 0.60 0.57 -0.623
H -4.9190 17.9581 -21.5396 0.49 -0.06 -0.86 0.299
H -6.0457 19.3629 -23.5272 0.18 -0.71 -0.04 0.354
C -10.5525 16.3354 -26.8582 0.58 0.04 -0.06 -0.916
H -13.9353 17.5396 -21.7081 0.11 -0.04 0.09 0.408
H -5.3104 19.1770 -20.5300 0.03 0.71 0.10 0.320
H -7.4280 13.1701 -24.3953 0.63 -0.04 0.01 0.069
C -7.6453 16.4602 -19.4080 -0.11 1.79 1.86 -0.288
H -10.6605 14.3188 -27.3340 0.53 -0.58 0.25 0.373
H -13.2476 19.8356 -18.9877 0.26 0.25 0.36 0.459
H -11.6915 15.2607 -20.0189 0.05 0.50 -0.42 -0.347
C -13.6574 16.4867 -21.7444 0.03 0.10 -0.40 -0.802
O -9.6596 19.5683 -21.1800 1.73 0.71 -1.57 -0.465
H -6.0567 20.6865 -22.4834 -0.04 0.14 0.40 0.428
H -5.4404 10.5888 -18.9762 -0.05 0.08 0.64 0.414
H -14.2469 15.5977 -14.8488 0.25 -0.04 0.10 0.420
C -12.9460 18.7873 -18.9581 -0.49 0.52 -0.05 -0.771
H -13.8305 18.3166 -19.3879 0.08 -0.55 0.38 0.231
O -12.3054 16.9439 -17.4561 -0.58 -0.66 -0.44 -0.148
H -10.5597 13.4436 -16.8577 0.17 -0.68 -0.30 0.457
H -6.9134 16.1556 -18.6589 0.05 0.04 0.06 0.408
S -7.4707 14.7701 -21.3608 0.25 1.26 0.39 1.510
H -12.2197 12.5011 -21.0899 -0.25 0.20 -0.29 0.388
O -8.1819 15.3280 -19.9861 -0.17 -2.63 -2.37 -0.312
H -12.5109 16.1961 -14.9581 -0.20 -0.12 0.04 0.298
H -10.2288 19.0886 -23.6536 0.17 -0.66 -0.56 0.276
H -9.1813 12.7776 -19.2407 -0.10 -0.04 -0.04 0.086
O -11.7101 14.7727 -22.1120 -0.25 2.07 -1.13 -0.565
S -11.9877 16.3834 -22.5083 -1.99 -2.15 1.41 1.053
'''

The full list of 10 Things College Students Don’t Need.’s Back to School 2009 package


  1. Thats a great list but unfortunately with the rising costs of tuition, many people both young and old will not be attending college at all. Did you know that even community colleges range in price per credit all over the USA? In Oregon it is $74 a credit, while in some states on the east coast the price per credit is $275. California seems to be one of the cheapest at $26 a credit.

  2. These are some great ways to reduce college costs. As for tuition increasing, state colleges are still somewhat affordable, even though they too have increased their fees. If a student can stay near home and attend a local state university, they can save on some living expenses.

    -Little House

  3. I wish I would have read some of these before the school year, there are some amazing tips on here! Oh well, some of them can still be used, i'll definitely be saving these for next semester, though.
